Your job: give back the lines further below from the one with "single C19H18N2O4S" to the one with "C11 -0.3040" unchanged.
/*
# 1
Entry from the OMol25 dataset: a single C19H18N2O3S molecule (ωB97M-V/def2-TZVPD).

Computed properties:
Energy in eV: -39941.4442
Gap between HOMO and LUMO in eV: 7.9
Structure (SMILES): CCOC(=O)CSc1nc(COc2ccccc2)nc2ccccc12
LUMO in eV: -0.431
Net charge: 0

Atoms and positions in Å:
C1 -0.0664 1.7291 3.2058
C2 0.7253 2.8380 2.2766
O1 1.6325 2.2345 1.3002
C3 1.0490 2.4302 0.1632
O2 0.1620 3.2840 -0.0326
C4 1.9355 1.5651 -1.0342
S1 2.4337 -0.1154 -0.3767
C5 1.1191 -0.8080 0.2397
N1 0.0853 0.1265 0.0554
C6 -1.2990 -0.6086 0.3934
C7 -2.5147 0.2179 0.0084
O3 -2.2317 1.3549 -0.7542
C8 -1.7604 0.8073 -2.1698
C9 -1.3540 1.9868 -2.6729
C10 -0.7471 1.8614 -3.9957
C11 -0.5031 0.4369 -4.6079
C12 -0.8025 -0.5792 -3.7924
C13 -1.5824 -0.3863 -2.5739
N2 -1.2265 -1.6814 1.0674
C14 -0.2944 -2.3573 1.5285
C15 -0.2836 -3.3973 2.2246
C16 0.8135 -4.2214 2.5121
C17 2.0945 -3.8052 1.8278
C18 2.0987 -2.6632 1.3239
C19 1.1517 -1.9226 0.9680
H1 -0.5921 2.2910 4.1115
H2 0.5178 0.8127 3.7308
H3 -0.7195 1.1703 2.7018
H4 1.4763 3.2581 2.8075
H5 0.0899 3.5351 1.9454
H6 1.2702 1.3288 -1.8517
H7 2.7012 2.2560 -1.3183
H8 -2.9083 0.6307 0.9774
H9 -3.3440 -0.7083 -0.1945
H10 -1.6686 3.0005 -2.2771
H11 -0.2157 2.6477 -4.7006
H12 -0.1470 0.2438 -5.5957
H13 -0.7644 -1.5392 -4.0835
H14 -1.7908 -1.1644 -1.9040
H15 -1.1106 -4.0445 2.2567
H16 0.6428 -5.2262 3.0782
H17 2.9013 -4.4407 2.1933
H18 3.0265 -2.3782 1.0381

Atoms 1-2, force components in eV/Å:
3.584 1.996 3.630
1.213 -5.528 3.765


# 2
Entry from the OMol25 dataset: a single C19H18N2O4S molecule (ωB97M-V/def2-TZVPD).

Computed properties:
Energy in eV: -42001.2982
Gap between HOMO and LUMO in eV: 8.3
Structure (SMILES): CCOC(=O)Cc1csc(NC(=O)COc2ccc3ccccc3c2)n1
LUMO in eV: 0.422
Net charge: 0

Atoms and positions in Å:
C1 1.5148 -1.9736 -1.7950
C2 0.0662 -2.4027 -1.6171
O1 -0.8430 -1.4407 -2.1607
C3 -0.9910 -1.4129 -3.4813
O2 -0.4439 -2.1542 -4.2517
C4 -1.9521 -0.3033 -3.8991
C5 -1.4098 1.0088 -3.4390
C6 -0.7923 1.9506 -4.1984
S1 -0.2426 3.2640 -3.2197
C7 -0.8950 2.4067 -1.8209
N1 -0.7339 2.9331 -0.5724
C8 -0.9758 2.3632 0.6691
O3 -0.6083 2.9409 1.6590
C9 -1.7210 1.0390 0.6744
O4 -1.5990 0.3686 1.9007
C10 -0.3891 -0.1784 2.2210
C11 0.7592 -0.0884 1.4100
C12 1.9239 -0.6914 1.7963
C13 2.0128 -1.4120 3.0022
C14 3.2028 -2.0436 3.4190
C15 3.2515 -2.7290 4.5998
C16 2.1116 -2.8127 5.4165
C17 0.9439 -2.2123 5.0403
C18 0.8589 -1.4966 3.8259
C19 -0.3277 -0.8718 3.4088
N2 -1.4645 1.2933 -2.1092
H1 2.1642 -2.6766 -1.2818
H2 1.6675 -0.9825 -1.3756
H3 1.7736 -1.9571 -2.8508
H4 -0.1049 -3.3668 -2.1065
H5 -0.1959 -2.4676 -0.5590
H6 -2.9105 -0.4832 -3.4103
H7 -2.0638 -0.3269 -4.9816
H8 -0.6297 1.9589 -5.2560
H9 -0.2648 3.8313 -0.5235
H10 -1.4170 0.4129 -0.1724
H11 -2.7881 1.2588 0.5637
H12 0.7314 0.4668 0.4846
H13 2.8029 -0.6155 1.1716
H14 4.0766 -1.9734 2.7862
H15 4.1656 -3.2105 4.9151
H16 2.1688 -3.3577 6.3476
H17 0.0658 -2.2742 5.6667
H18 -1.2118 -0.9284 4.0246

Atoms 1-2, force components in eV/Å:
-0.390 0.010 -0.109
0.430 -0.392 0.031


# 3
Entry from the OMol25 dataset: a single C19H18N2O6 molecule (ωB97M-V/def2-TZVPD).

Computed properties:
Energy in eV: -35255.7451
Gap between HOMO and LUMO in eV: 8.2
Structure (SMILES): CC(=O)[C@H](C)OC(=O)c1c(C)nc(C)c(C(=O)O)c1-c1ccccc1N=O
LUMO in eV: -0.865
Net charge: 0

Atoms and positions in Å:
C1 0.6247 -3.0916 -2.4877
C2 0.0050 -1.7398 -2.9735
O1 -1.1053 -1.7397 -3.5501
C3 1.0086 -0.5405 -2.8798
C4 2.4787 -0.9679 -3.2050
O2 1.0831 -0.0630 -1.4561
C5 0.1610 0.9429 -1.2555
O3 -0.6555 1.3388 -2.1084
C6 0.1600 1.5164 0.1011
C7 0.7753 2.7192 0.3200
C8 1.1530 3.5977 -0.7992
N1 0.9922 3.0619 1.5532
C9 0.4199 2.4961 2.5404
C10 0.8692 2.9847 3.9181
C11 -0.3040 1.2539 2.3820
C12 -0.7610 0.5191 3.5157
O4 0.1056 0.1041 4.3255
O5 -2.0484 0.2118 3.6700
C13 -0.6286 0.9129 1.1007
C14 -1.3033 -0.3870 0.7217
C15 -2.6229 -0.3652 0.2869
C16 -3.1216 -1.4244 -0.3733
C17 -2.5666 -2.7525 -0.2622
C18 -1.2367 -2.8116 0.3704
C19 -0.6187 -1.5865 0.7991
N2 0.5754 -1.4597 1.5013
O6 1.1727 -2.4942 1.6204
*/
Entry from the OMol25 dataset: a single C19H18N2O4S molecule (ωB97M-V/def2-TZVPD).

Computed properties:
Energy in eV: -42001.2982
Gap between HOMO and LUMO in eV: 8.3
Structure (SMILES): CCOC(=O)Cc1csc(NC(=O)COc2ccc3ccccc3c2)n1
LUMO in eV: 0.422
Net charge: 0

Atoms and positions in Å:
C1 1.5148 -1.9736 -1.7950
C2 0.0662 -2.4027 -1.6171
O1 -0.8430 -1.4407 -2.1607
C3 -0.9910 -1.4129 -3.4813
O2 -0.4439 -2.1542 -4.2517
C4 -1.9521 -0.3033 -3.8991
C5 -1.4098 1.0088 -3.4390
C6 -0.7923 1.9506 -4.1984
S1 -0.2426 3.2640 -3.2197
C7 -0.8950 2.4067 -1.8209
N1 -0.7339 2.9331 -0.5724
C8 -0.9758 2.3632 0.6691
O3 -0.6083 2.9409 1.6590
C9 -1.7210 1.0390 0.6744
O4 -1.5990 0.3686 1.9007
C10 -0.3891 -0.1784 2.2210
C11 0.7592 -0.0884 1.4100
C12 1.9239 -0.6914 1.7963
C13 2.0128 -1.4120 3.0022
C14 3.2028 -2.0436 3.4190
C15 3.2515 -2.7290 4.5998
C16 2.1116 -2.8127 5.4165
C17 0.9439 -2.2123 5.0403
C18 0.8589 -1.4966 3.8259
C19 -0.3277 -0.8718 3.4088
N2 -1.4645 1.2933 -2.1092
H1 2.1642 -2.6766 -1.2818
H2 1.6675 -0.9825 -1.3756
H3 1.7736 -1.9571 -2.8508
H4 -0.1049 -3.3668 -2.1065
H5 -0.1959 -2.4676 -0.5590
H6 -2.9105 -0.4832 -3.4103
H7 -2.0638 -0.3269 -4.9816
H8 -0.6297 1.9589 -5.2560
H9 -0.2648 3.8313 -0.5235
H10 -1.4170 0.4129 -0.1724
H11 -2.7881 1.2588 0.5637
H12 0.7314 0.4668 0.4846
H13 2.8029 -0.6155 1.1716
H14 4.0766 -1.9734 2.7862
H15 4.1656 -3.2105 4.9151
H16 2.1688 -3.3577 6.3476
H17 0.0658 -2.2742 5.6667
H18 -1.2118 -0.9284 4.0246

Atoms 1-2, force components in eV/Å:
-0.390 0.010 -0.109
0.430 -0.392 0.031


# 3
Entry from the OMol25 dataset: a single C19H18N2O6 molecule (ωB97M-V/def2-TZVPD).

Computed properties:
Energy in eV: -35255.7451
Gap between HOMO and LUMO in eV: 8.2
Structure (SMILES): CC(=O)[C@H](C)OC(=O)c1c(C)nc(C)c(C(=O)O)c1-c1ccccc1N=O
LUMO in eV: -0.865
Net charge: 0

Atoms and positions in Å:
C1 0.6247 -3.0916 -2.4877
C2 0.0050 -1.7398 -2.9735
O1 -1.1053 -1.7397 -3.5501
C3 1.0086 -0.5405 -2.8798
C4 2.4787 -0.9679 -3.2050
O2 1.0831 -0.0630 -1.4561
C5 0.1610 0.9429 -1.2555
O3 -0.6555 1.3388 -2.1084
C6 0.1600 1.5164 0.1011
C7 0.7753 2.7192 0.3200
C8 1.1530 3.5977 -0.7992
N1 0.9922 3.0619 1.5532
C9 0.4199 2.4961 2.5404
C10 0.8692 2.9847 3.9181
C11 -0.3040 1.2539 2.3820